Instruction for authors
Guidelines for manuscripts and references are in corresponding sections
Technical requirements:
- Manuscripts should be provided in Microsoft Word *.doc and *.docx format;
- Maximum length should be up to 40 000 characters including spaces;
- A file should have a title in a format Author’s Name_First 4-6 Words of the Heading (e.g. Startsev_Origin and Functioning of Ethnonyms);
- Images and halftone figures should be in *.jpg, *.tif format with the resolution of at least 300 dpi;
- Every image/figure should be enclosed as a separate file and numbered in the order of occurrence in a manuscript (e.g. Figure 1, Figure 2, etc., without author’s name);
- Graphs and diagrams should be provided with Excel files and should be named the same way as illustrations (Figure 1, Figure 2, etc.);
- If a manuscript has images/figures and graphs/diagrams, sequential numbering should be provided;
# Records of crystals, as found in the file
- - -
(1)
Entry from the Materials Project: an optimized crystal structure of Na2Sr6ZnFe6F34 (PBE with a Hubbard U).

CIF file:
```
data_Na2Sr6ZnFe6F34
_chemical_formula_sum 'Na4 Sr12 Zn2 Fe12 F68'
_cell_length_a 9.9532
_cell_length_b 9.9655
_cell_length_c 15.2330
_cell_angle_alpha 80.38
_cell_angle_beta 80.23
_cell_angle_gamma 68.78
_symmetry_space_group_name_H-M 'P 1'
_symmetry_Int_Tables_number 1
loop_
_symmetry_equiv_pos_as_xyz
'x,y,z'
loop_
_atom_site_label
_atom_site_fract_x
_atom_site_fract_y
_atom_site_fract_z
Na1 0.0000 0.0000 0.0000
Na2 0.0160 0.9726 0.5006
Na3 0.7723 0.7155 0.4717
Na4 0.9459 0.3460 0.8536
Sr1 0.0478 0.6428 0.1539
Sr2 0.0528 0.6303 0.6581
Sr3 0.2439 0.2292 0.0524
Sr4 0.2608 0.2172 0.5524
Sr5 0.3501 0.9400 0.8494
Sr6 0.3621 0.9346 0.3489
Sr7 0.5132 0.4775 0.9963
Sr8 0.5133 0.4826 0.5020
Sr9 0.6630 0.0270 0.1538
Sr10 0.6689 0.0203 0.6488
Sr11 0.7752 0.7333 0.9481
Sr12 0.9682 0.3287 0.3503
Zn1 0.0249 0.9670 0.7511
Zn2 0.9983 0.9948 0.2517
Fe1 0.1408 0.6341 0.4004
Fe2 0.1651 0.6151 0.9062
Fe3 0.3441 0.3114 0.7719
Fe4 0.3438 0.3304 0.2697
Fe5 0.3595 0.8437 0.1036
Fe6 0.3784 0.8263 0.5938
Fe7 0.6477 0.1370 0.4047
Fe8 0.6592 0.1197 0.8983
Fe9 0.6675 0.6475 0.2325
Fe10 0.6779 0.6420 0.7328
Fe11 0.8576 0.3480 0.0944
Fe12 0.8759 0.3281 0.6057
F1 0.0012 0.2190 0.5087
F2 0.0014 0.5376 0.4064
F3 0.0058 0.2303 0.0099
F4 0.0164 0.7423 0.9883
F5 0.0201 0.7378 0.4981
F6 0.0254 0.4189 0.5957
F7 0.0311 0.5175 0.9110
F8 0.0312 0.7842 0.3078
F9 0.0707 0.0525 0.3520
F10 0.0849 0.0230 0.8530
F11 0.0872 0.7374 0.7966
F12 0.1434 0.3878 0.7506
F13 0.1663 0.3642 0.2146
F14 0.2136 0.9623 0.1941
F15 0.2433 0.2506 0.3792
F16 0.2474 0.4835 0.0138
F17 0.2472 0.9749 0.0110
F18 0.2509 0.5335 0.2939
F19 0.2531 0.9770 0.5110
F20 0.2543 0.9110 0.7008
F21 0.2613 0.4757 0.4813
F22 0.2609 0.7100 0.1094
F23 0.2702 0.7010 0.5918
F24 0.2791 0.7302 0.3952
F25 0.2886 0.2052 0.8848
F26 0.2960 0.7146 0.9123
F27 0.3240 0.4768 0.8341
F28 0.3796 0.1372 0.7144
F29 0.3869 0.4018 0.6539
F30 0.4162 0.1323 0.2371
F31 0.4325 0.3802 0.1534
F32 0.4534 0.9884 0.0966
F33 0.4634 0.7334 0.2063
F34 0.4794 0.9606 0.5888
F35 0.5034 0.2260 0.9874
F36 0.5071 0.7453 0.4884
F37 0.5097 0.2997 0.3326
F38 0.5124 0.7336 0.0170
F39 0.5136 0.6679 0.6676
F40 0.5182 0.2205 0.5137
F41 0.5295 0.0236 0.4056
F42 0.5530 0.2208 0.7934
F43 0.5706 0.9693 0.9069
F44 0.5877 0.8442 0.7589
F45 0.5890 0.5913 0.8481
F46 0.6072 0.5676 0.3478
F47 0.6264 0.8326 0.2773
F48 0.7029 0.4738 0.1750
F49 0.7311 0.2398 0.6136
F50 0.7327 0.2408 0.0903
F51 0.7440 0.2633 0.8947
F52 0.7462 0.2709 0.4106
F53 0.7504 0.7430 0.1207
F54 0.7635 0.4853 0.9943
F55 0.7651 0.4793 0.5201
F56 0.7681 0.9922 0.9946
F57 0.7702 0.0657 0.2935
F58 0.7711 0.9919 0.4862
F59 0.7744 0.4392 0.7085
F60 0.7798 0.7221 0.6264
F61 0.8104 0.9978 0.8119
F62 0.8445 0.6256 0.7917
F63 0.8661 0.5671 0.2613
F64 0.9400 0.9246 0.1492
F65 0.9504 0.9097 0.6518
F66 0.9537 0.2194 0.1982
F67 0.9838 0.4566 0.0915
F68 0.9964 0.1728 0.6873
```

Summary:
- - -
# So much for the records of crystals
- Figure captions should be placed at the end of the manuscript after references.
- If references are in different languages, they are placed according to the groups: first, all references in the Cyrillic alphabet in general alphabetical order (e.g. Mongolian, Russian, Ukrainian). Afterwards, the references in the Latin alphabet are written in general alphabetical order (e.g. English, French, German). Then, the references in the Hieroglyphic alphabet are grouped correspondingly: Chinese, Japanese and Korean.
- The original language of the reference must be indicated after the bibliography entry in brackets (see below). First-order headings (e.g. the title of the source in non-periodical publications and the title of the edition in periodical publications) should be italicized.
- If references contain titles starting with numbers, they are placed at the beginning of every language list in the following ascending order: the references where a title starts with a number in the Cyrillic alphabet in ascending order, Cyrillic references in alphabetical order, references where a title starts with a number in the Latin alphabet in ascending order, Latin references in alphabetical order. The same procedure is for hieroglyphic references.
For example:
**Here the article breaks off for calculated crystals**
<<<
Record 1
{"formula": "InSeI", "functional": "PBE", "state": "optimized geometry", "lattice": [[-9.674, 9.674, 5.199], [9.674, -9.674, 5.199], [9.674, 9.674, -5.199]], "species": ["In", "In", "In", "In", "In", "In", "In", "In", "In", "In", "In", "In", "In", "In", "In", "In", "Se", "Se", "Se", "Se", "Se", "Se", "Se", "Se", "Se", "Se", "Se", "Se", "Se", "Se", "Se", "Se", "I", "I", "I", "I", "I", "I", "I", "I", "I", "I", "I", "I", "I", "I", "I", "I"], "fractional_positions": [[0.040, 0.365, 0.391], [0.135, 0.026, 0.675], [0.149, 0.540, 0.175], [0.179, 0.280, 0.203], [0.220, 0.923, 0.899], [0.423, 0.024, 0.703], [0.474, 0.649, 0.109], [0.476, 0.679, 0.399], [0.524, 0.321, 0.601], [0.526, 0.351, 0.891], [0.577, 0.976, 0.297], [0.780, 0.077, 0.101], [0.821, 0.720, 0.797], [0.851, 0.460, 0.825], [0.865, 0.974, 0.325], [0.960, 0.635, 0.609], [0.040, 0.290, 0.078], [0.124, 0.256, 0.372], [0.210, 0.789, 0.750], [0.244, 0.116, 0.868], [0.252, 0.624, 0.368], [0.289, 0.038, 0.578], [0.384, 0.752, 0.128], [0.462, 0.540, 0.250], [0.538, 0.460, 0.750], [0.616, 0.248, 0.872], [0.711, 0.962, 0.422], [0.748, 0.376, 0.632], [0.756, 0.884, 0.132], [0.790, 0.211, 0.250], [0.876, 0.744, 0.628], [0.960, 0.710, 0.922], [0.032, 0.398, 0.575], [0.043, 0.468, 0.867], [0.102, 0.177, 0.633], [0.153, 0.078, 0.137], [0.323, 0.457, 0.925], [0.422, 0.059, 0.075], [0.441, 0.017, 0.363], [0.483, 0.347, 0.425], [0.517, 0.653, 0.575], [0.559, 0.983, 0.637], [0.578, 0.941, 0.925], [0.677, 0.543, 0.075], [0.847, 0.922, 0.863], [0.898, 0.823, 0.367], [0.957, 0.532, 0.133], [0.968, 0.602, 0.425]], "formation_enthalpy_0k_kj_per_mol_atoms": -64.11, "space_group": "I4_1/a, No. 88", "magnetic_moment_mub_per_fu": 0.0}



Record 2
{"formula": "Pr2InNi2", "functional": "PBE", "state": "optimized geometry", "lattice": [[7.629, 0.000, 0.000], [0.000, 7.629, 0.000], [0.000, 0.000, 3.821]], "species": ["Pr", "Pr", "Pr", "Pr", "In", "In", "Ni", "Ni", "Ni", "Ni"], "fractional_positions": [[0.176, 0.324, 0.000], [0.324, 0.824, 0.000], [0.676, 0.176, 0.000], [0.824, 0.676, 0.000], [0.000, 0.000, 0.500], [0.500, 0.500, 0.500], [0.117, 0.617, 0.500], [0.383, 0.117, 0.500], [0.617, 0.883, 0.500], [0.883, 0.383, 0.500]], "formation_enthalpy_0k_kj_per_mol_atoms": -39.44, "space_group": "P4/mbm, No. 127"}



Record 3
{"formula": "HCl", "functional": "PBE", "state": "optimized geometry", "lattice": [[3.487, -2.657, 0.000], [3.487, 2.657, 0.000], [0.000, 0.000, 5.368]], "species": ["H", "H", "Cl", "Cl"], "fractional_positions": [[0.066, 0.934, 0.500], [0.934, 0.066, 0.000], [0.221, 0.779, 0.312], [0.779, 0.221, 0.812]], "formation_enthalpy_0k_kj_per_mol_atoms": -78.70, "space_group": "Cmc2_1, No. 36", "piezo_max_c_m2": 0.198}



Record 4
>>>
- 2000 miles away. London, 2002. 86 p.
- 2018: economic forecast. The commercial news. December 20, 2017, р. 4.
<<<
# 1
VASP calculation (GGA+U) on Li4Nb2Co3Sn3O16 after structural relaxation.

Values from the calculation:
* uncorrected energy: -6.665 eV/atom
* formation energy from the elements: -214.2 kJ/mol of atoms
* magnetic moment: 0.00 μB/f.u.

Lattice parameters (Å, degrees): 6.1782 10.6756 11.6568 62.79 74.71 89.78
Sites, in units of the cell vectors:
Li  0.0000  0.0000  0.0000
Li  0.0124  0.6982  0.9181
Li  0.2337  0.2395  0.5142
Li  0.2765  0.6178  0.4223
Li  0.4999  0.4997  0.0003
Li  0.5124  0.1980  0.9180
Li  0.7343  0.7392  0.5141
Li  0.7766  0.1177  0.4223
Nb  0.2125  0.8991  0.5144
Nb  0.4601  0.8217  0.9951
Nb  0.7126  0.3991  0.5144
Nb  0.9595  0.3218  0.9948
Co  0.1130  0.2998  0.7285
Co  0.1268  0.9652  0.2305
Co  0.3708  0.0424  0.7283
Co  0.6132  0.7998  0.7283
Co  0.6270  0.4651  0.2305
Co  0.8711  0.5421  0.7292
Sn  0.1165  0.4634  0.2310
Sn  0.3595  0.5420  0.7327
Sn  0.3683  0.2107  0.2311
Sn  0.6164  0.9634  0.2310
Sn  0.8591  0.0418  0.7327
Sn  0.8685  0.7106  0.2310
O  0.0367  0.5600  0.3566
O  0.0519  0.5391  0.8696
O  0.0756  0.0866  0.8155
O  0.0894  0.0558  0.3633
O  0.1687  0.5144  0.6264
O  0.1746  0.0209  0.6046
O  0.1830  0.8551  0.1091
O  0.1900  0.3593  0.1117
O  0.2695  0.3221  0.8694
O  0.3109  0.8349  0.3634
O  0.3167  0.8149  0.8724
O  0.3254  0.3321  0.3284
O  0.4211  0.7737  0.6049
O  0.4292  0.1032  0.1190
O  0.4291  0.6094  0.1089
O  0.4375  0.2778  0.6038
O  0.5368  0.0600  0.3566
O  0.5524  0.0389  0.8696
O  0.5757  0.5863  0.8160
O  0.5893  0.5557  0.3632
O  0.6690  0.0141  0.6264
O  0.6746  0.5212  0.6043
O  0.6830  0.3552  0.1091
O  0.6899  0.8593  0.1116
O  0.7693  0.8216  0.8696
O  0.8110  0.3349  0.3635
O  0.8170  0.3140  0.8724
O  0.8254  0.8321  0.3284
O  0.9213  0.2743  0.6046
O  0.9291  0.1094  0.1089
O  0.9293  0.6032  0.1190
O  0.9377  0.7779  0.6033



# 2
VASP calculation (GGA+U) on Li4Ti2Nb3Co3O16 after structural relaxation.

Values from the calculation:
* uncorrected energy: -7.525 eV/atom
* formation energy from the elements: -249.4 kJ/mol of atoms
* magnetic moment: 8.00 μB/f.u.

Lattice parameters (Å, degrees): 6.0207 6.0207 9.8517 90.43 90.43 60.81
Sites, in units of the cell vectors:
Li  0.0000  0.0000  0.0000
Li  0.0169  0.0169  0.5134
Li  0.3275  0.3275  0.6078
Li  0.6631  0.6631  0.0954
Ti  0.3236  0.3236  0.9878
Ti  0.6337  0.6337  0.5142
Nb  0.1548  0.6484  0.2831
Nb  0.6484  0.1548  0.2831
Nb  0.8173  0.8173  0.7699
Co  0.1844  0.1844  0.2873
Co  0.3386  0.8229  0.7902
Co  0.8229  0.3386  0.7902
O  0.0344  0.4942  0.1488
O  0.1601  0.6483  0.9045
O  0.1669  0.1669  0.9058
O  0.3356  0.8165  0.4057
O  0.3457  0.3457  0.4092
O  0.4814  0.4814  0.1702
O  0.4942  0.0344  0.1488
O  0.5144  0.5144  0.6487
O  0.5256  0.9600  0.6479
O  0.6483  0.1601  0.9045
O  0.6716  0.6716  0.8991
O  0.8165  0.3356  0.4057
O  0.8322  0.8322  0.3980
O  0.9600  0.5256  0.6479
O  0.9938  0.9938  0.6985
O  0.9950  0.9950  0.1916



# 3
VASP calculation (GGA+U) on SrLiNdCoO4 after structural relaxation.
>>>
_The calculated crystals stop here_
- American Foreign Policy. Current Documents. 1983. Washington: Department of State, 1985, 1477 p.
- General License № 4. Noncommercial, Personal Remittances Authorized. March 24, 2016. URL: (accessed 06.05.2016).